
Bolivia: Military-provoked riots end in 33 deaths

Fifteen thousand people marched on La Paz, February 17, demanding the resignation of the Bolivian government of President Gonzalo Sanchez de Lozada. The demonstration came in the wake of more than a month of protests, strikes, roadblocks and violent clashes that have rocked Latin America’s poorest nation.

A stream of farmers, teachers, students and workers poured into Plaza San Francisco shouting anti-government slogans and decrying last week’s military-provoked riots: “The president must resign!” “Out with the IMF (International Monetary Fund)!” “Long live the Bolivian worker!” Monday’s march coincided with a 48-hour nationwide general strike called by the Bolivian Labour Federation, the COB.

Friday, Saturday and Sunday were marked by marches to mourn the dead. Thirty-three people were killed and hundreds injured over the past week in the worst confrontations since the return to civilian rule two decades ago. Casualties consisted mainly of unarmed civilians caught in the crossfire between mutinying police and the military called out by the right-wing government of Sanchez de Lozada.

When government representatives arrived at the funeral procession, the crowd started shoving them, jeering “Murderers! Murderers!”

The US was one of the few governments to voice support for Sanchez de Lozada, who like Peru’s Alejandro Toledo and Colombia’s Alvaro Uribe is closely aligned to the Bush administration’s anti-drug and anti-terror war in Latin America.

“We reiterate our support for President Gonzalo Sanchez de Lozada and the coalition government,” said Richard Boucher, US State Department spokesman. “Together with our partners in the international community and the relevant international financial institutions, the United States supports the goals of the government of Bolivia to restore economic stability, continue on a democratic path and provide hope for a better life to the Bolivian people.”

The protests, which began in La Paz on February 11, were sparked by the introduction of a budget bill that proposed to increase personal income taxes on the poor and middle class and cut spending by as much as 10 percent. In line with an IMF-dictated agenda, the government aimed to reduce the nation’s deficit from 8.6 percent to 5.5 percent in order to secure $4 billion in new credits.

The protests turned bloody when police from the anti-riot squad refused to begin patrols, demanding a 40 percent pay increase and the scrapping of the proposed income tax bill.

“Government employees, largely the only workers who have regular, taxable salaries, stormed the square outside the presidential palace and broke into government offices,” wrote Britain’s Observer newspaper. “The carnage began in earnest after Sanchez de Lozada gave orders to send in the army.... Television footage showed soldiers firing at the police headquarters across the square after police officers fired tear gas at them.”

Even though the government ditched the tax bill and reached an accord with the police, the popular movement spread by February 13 to Bolivia’s second and third largest cities of Santa Cruz and Cochabamba—with protesters demanding Sanchez de Lozada “resign or die, those are your options.”

In Cochabamba, one coca farmer was killed when military police moved in to block peasants erecting barricades across the country’s major highway connecting the city with La Paz and Santa Cruz. In another incident half a dozen police were wounded when an explosive was detonated on the highway.

Right-wing government rests on military

Government officials claimed the protests had veiled a “failed coup attempt against democracy.” Mauricio Antezana, spokesman for the administration, said snipers that had allegedly fired into the president’s office were part of a conspiracy to overthrow the government.

Sanchez de Lozada seized on the occasion to shift the blame for the riots onto the MAS and attempted to link them to terrorist extremists.

On February 14 Defence Minister Freddy Teodovic boldly asserted that “extremists linked to the MAS were moving to create problems for the government and generate a climate of uncertainty and chaos” throughout the country.

Officials then retreated, saying that the riots and the killings were the work of “unidentified” sources, partly because human rights groups have pressed on the Organisation of American States to conduct an investigation.

Human rights groups have attributed responsibility for the firing squad-style killings in La Paz last week to military sharpshooters, seen firing off rooftops.

Associated Press reported one 27-year-old volunteer firefighter shot in the eye by soldiers as he was helping an injured police officer into an ambulance.

In a court hearing a witness identified an air force captain—arrested on the outskirts of the presidential palace—as one of the snipers who fired into the crowd. The local media reported that another sniper in military fatigues and posted on a building near the presidential palace had killed a nurse and wounded a doctor tending wounded protesters.

Here the page breaks off for records of molecules >
'''
Below is C24H36AsCa2F9NO20 as an isolated structure in a non-equilibrium geometry, with properties calculated with wB97M-V/def2-TZVPD.

Calculated values
**ΔE to the lowest compared entry with this formula, charge and spin**: 6.117 eV
**Frontier orbital gap**: 5.868 eV
**Total charge**: +1
**Max |F|**: 5.1 eV/A
**Highest occupied orbital energy**: -10.6 eV

XYZ file:
```
93
C24H36AsCa2F9NO20 | the OMol25 dataset | wB97M-V/def2-TZVPD
H -1.733 6.657 4.806
H 3.598 3.276 -0.103
O -3.320 0.325 -2.260
F -0.988 -3.727 -2.087
H -1.107 4.384 4.847
H 0.017 -3.449 -7.010
O -2.335 3.504 2.306
O -1.594 0.790 -3.566
H -4.755 1.510 -1.555
C 0.698 -0.022 -0.722
C -1.376 4.855 3.902
F -1.079 -1.709 -2.477
H -1.540 6.858 3.076
O 2.845 6.276 1.068
C -1.133 6.349 3.950
H -5.005 -0.062 0.692
C -4.022 0.873 -1.060
O 0.801 7.074 0.930
H -3.146 5.394 2.853
H -2.002 0.050 4.950
O 1.064 -5.306 -3.273
H 2.103 0.986 0.775
O 0.755 -6.362 -5.241
H 1.235 -2.097 -2.360
C 1.718 6.542 0.383
O 1.875 6.098 -0.874
C -0.596 -2.529 -1.595
C -1.220 -1.809 4.707
H -0.193 -7.071 -6.891
C -0.913 -4.016 -7.046
H 4.102 3.704 1.589
H -1.956 -2.600 4.854
O -0.258 3.067 1.170
C -2.620 4.525 3.249
H 0.449 0.124 -1.774
O 5.738 0.700 -1.064
H 1.410 2.026 -0.370
O 1.173 -1.309 -0.424
H -3.266 0.129 2.543
C 0.992 -2.403 -1.343
Ca 2.934 -2.058 1.041
C 3.412 3.904 0.769
F 1.056 -7.207 2.870
C -0.877 -5.180 -6.084
H -1.860 -5.651 -6.058
O 1.280 -0.969 2.448
O 4.315 -0.696 -0.261
O 6.388 -1.090 -0.235
H -3.276 4.287 4.086
O 1.895 -3.401 -0.849
H 4.719 5.718 0.303
F 1.233 -5.072 4.361
H 2.972 4.684 -1.697
F -1.286 -2.368 -0.444
O -0.556 -0.041 3.476
C 0.479 -5.436 -4.358
H -1.812 -3.456 -6.790
H -2.202 -1.146 2.004
H -0.699 -1.623 5.646
H 0.903 -5.702 -7.262
H 2.564 0.948 -1.007
N 5.463 -0.335 -0.503
C 0.248 -6.149 -6.513
O -0.105 -2.222 3.888
F -0.270 -5.057 2.240
C -0.978 3.608 2.035
O -1.959 1.917 -1.516
C -2.699 -0.738 2.883
F 1.758 -5.822 0.846
H 3.753 6.300 -1.531
H -3.819 -1.176 -0.075
H -0.155 6.819 4.053
C 0.356 -1.042 3.242
C -2.855 1.592 -0.479
O -0.407 -4.647 -4.885
H -0.237 0.257 -0.235
C -2.230 1.067 -2.607
H 2.398 3.766 1.144
H -2.270 0.991 0.217
F 3.305 -5.793 2.777
H -3.494 -1.392 3.243
H -3.253 2.526 -0.082
Ca 2.417 -5.728 -1.329
C 3.701 5.328 0.300
F 1.967 -3.596 2.342
C 3.070 5.579 -1.082
C 1.770 1.003 -0.263
O -0.438 4.516 2.886
As 1.496 -5.405 2.597
C -1.747 -0.550 4.077
H -5.272 -0.882 -0.880
C -4.544 -0.380 -0.243
H -0.965 -4.405 -8.063
```



Below is a 2-piece molecular cluster, C2H9NO2 overall, with properties calculated with wB97M-V/def2-TZVPD.

Calculated values
**ΔE to the lowest compared entry with this formula, charge and spin**: 0.300 eV
**Frontier orbital gap**: 9.761 eV
**Total charge**: 0
**Max |F|**: 1.0 eV/A
**Highest occupied orbital energy**: -8.9 eV
**SMILES**: CNCO.O

XYZ file:
```
14
C2H9NO2 | the OMol25 dataset | wB97M-V/def2-TZVPD
H 2.037 -0.760 -2.131
N 0.237 -0.572 -1.007
H 0.906 0.404 -2.746
C 0.232 0.771 -0.415
O -1.885 -0.283 3.473
C 0.962 -0.586 -2.266
'''

The military was out in full force, with armoured vehicles and hundreds of soldiers fanning out over at least three blocks. Tanks blocked every side street leading to the presidential palace. In contrast civilian protesters hurled stones and other rudimentary weapons against the soldiers armed with rubber bullets and live ammunition.

The provocative military actions that triggered the riots reeked of premeditation and the deliberate sowing of as much mayhem as possible to justify the imposition of a state of siege.

This would not have been the first time that the present president imposed emergency rule. The US-educated Sanchez de Lozada called on the military to “restore order” during his last stint as president from 1993-1997, when he confronted weeks of protests against the privatisation of state-owned industries and mass layoffs.

Today, the right-wing Bolivian government is once again relying on the military to counter mass opposition to the austerity measures being demanded by the imperialist banks and financial institutions.

According to the London-based think tank World Markets Research Centre, to claim the $4 billion requested from the IMF, Sanchez de Lozada must implement similar policies to those that led to the rioting last week. Although he has pledged to cut costs to the tune of $30 million by reducing posts and functionaries in the executive branch, this falls well below the $200 million he will need to slash from the deficit to receive assistance.

Molecular data, kept here for reference.
=====
No. 1
Here is C4H5NO in the gas phase at a distorted geometry from OMol25. Energies are from ωB97M-V with the def2-TZVPD basis set.

Properties
Energy in Ha: -285.29601
ΔE to the lowest compared entry with this formula, charge and spin in kcal/mol: 74.4

```
! wB97M-V def2-TZVPD RIJCOSX def2/J DEFGRID3
* xyz 0 1
C 0.319 -0.571 -1.669
C 0.257 -0.204 -0.176
C -0.768 0.140 0.597
C -0.374 0.839 1.800
H -0.759 -0.359 -1.910
H 1.241 -0.015 -2.119
H 0.369 -1.743 -1.670
H -1.699 -0.274 0.207
H -1.028 1.460 2.507
N 0.990 0.703 1.762
O 1.452 0.024 0.671
*
```

No. 2
Here is C4H5NO in the gas phase at a distorted geometry from OMol25. Energies are from ωB97M-V with the def2-TZVPD basis set.

Properties
Energy in Ha: -285.36186
ΔE to the lowest compared entry with this formula, charge and spin in kcal/mol: 33.1

```
! wB97M-V def2-TZVPD RIJCOSX def2/J DEFGRID3
* xyz 0 1
N 2.819 -0.813 0.223
C 1.858 -0.179 0.122
C 0.626 0.618 -0.064
C -0.450 -0.238 -0.709
C -1.378 -0.850 0.017
O 0.242 1.108 1.199
H 0.891 1.444 -0.742
H -0.654 1.456 1.086
H -0.426 -0.316 -1.794
H -2.160 -1.447 -0.441
H -1.369 -0.782 1.102
*
```

No. 3
Here is a molecular structure, C4H5NO at a distorted geometry from OMol25. Energies are from ωB97M-V with the def2-TZVPD basis set.

Properties
Energy in Ha: -285.15452
ΔE to the lowest compared entry with this formula, charge and spin in kcal/mol: 163.2

```
! wB97M-V def2-TZVPD RIJCOSX def2/J DEFGRID3
* xyz 0 1
C 0.427 -1.346 0.953
C 1.538 -0.532 -0.056
C 0.341 0.133 0.539
C -1.058 0.396 -0.891
N 1.699 -1.550 0.884
O 0.057 1.182 1.349
H 1.591 -0.626 -1.126
H -0.294 0.829 -1.441
H -1.874 0.940 -0.419
H -1.445 -0.579 -1.271
H -0.984 1.154 1.480
*
```

No. 4
Here is C4H5NO in the gas phase at a distorted geometry from OMol25. Energies are from ωB97M-V with the def2-TZVPD basis set.

Properties
Energy in Ha: -285.25396
ΔE to the lowest compared entry with this formula, charge and spin in kcal/mol: 100.8

```
! wB97M-V def2-TZVPD RIJCOSX def2/J DEFGRID3
* xyz 0 1
O -2.100 0.631 -1.055
C -1.187 0.269 -0.362
C -0.029 -0.688 -0.717
C 0.713 -0.465 0.586
N 0.570 0.980 0.819
C -0.785 1.204 0.826
H -0.390 -1.702 -0.885
H 0.534 -0.365 -1.605
H 1.701 -0.867 0.791
H 1.048 1.643 0.211
H 0.055 -0.848 1.378
*
```

No. 5
Here is a molecular structure, C4H5NO at a distorted geometry from OMol25. Energies are from ωB97M-V with the def2-TZVPD basis set.

Properties
Energy in Ha: -285.25294
ΔE to the lowest compared entry with this formula, charge and spin in kcal/mol: 101.4

```
! wB97M-V def2-TZVPD RIJCOSX def2/J DEFGRID3
* xyz 0 1
C 1.779 -1.053 0.026
C 2.304 0.281 0.072
C 0.563 -0.492 0.104
C -1.688 0.174 0.180
N 1.201 0.956 0.136
O -0.725 -0.830 -0.037
H 2.265 -1.975 -0.117
H 3.379 0.717 0.154
H -2.567 -0.086 -0.399
H -1.428 1.020 -0.374
H -1.854 0.403 1.200
*
```

No. 6
Here is C4H5NO in the gas phase at a distorted geometry from OMol25. Energies are from ωB97M-V with the def2-TZVPD basis set.

Properties
Energy in Ha: -285.38530
=====

“When he is forced to implement more general spending cuts, his government is likely to face further strikes and protests. If these lead to doubts as to whether the ruling coalition, which was shaky from the outset, can hold, then the viability of the government could be called into question,” the research group concluded.
